**Job:**
Please set down only the lines underneath with the word "Properties" in them.

**Contents:**
256
Properties=species:S:1:pos:R:3:forces:R:3:lowdin_charge:R:1 method="wB97M-V/def2-TZVPD" gap_ha="0.0458 / 0.3012" total_charge=-1 mol_weight_g_mol=1404.01 fmax_ev_per_a=3.030 multiplicity=2 e_tot_ev=-127859.339 e_homo_ev="0.4474 / -6.5042"
C 3.508 5.923 5.466 -0.39 0.48 -0.49 -0.122
O 2.997 4.629 5.254 0.26 -0.29 0.97 -0.204
C 2.434 4.401 3.961 0.18 -0.24 1.11 -0.179
C 1.484 3.183 3.978 0.25 -0.22 -1.67 -0.166
N 2.140 1.870 4.003 1.95 0.09 2.32 -0.040
C 2.706 1.602 5.379 0.58 -1.12 -0.39 -0.147
C 3.305 0.173 5.467 0.69 -0.66 -0.62 -0.205
O 2.412 -0.917 5.349 -1.86 -0.02 0.48 -0.214
C 2.665 -2.132 6.040 0.98 0.84 0.06 -0.098
H 4.315 6.140 4.767 -0.04 0.24 -0.31 0.085
H 3.904 6.171 6.451 0.05 -1.16 0.34 0.081
H 2.689 6.638 5.397 -0.08 0.35 -0.61 0.082
H 3.244 4.268 3.243 0.11 -0.42 -0.18 0.107
H 1.951 5.322 3.632 -0.68 -0.05 0.04 0.113
H 1.100 3.255 2.961 -0.55 -0.08 0.19 0.083
H 0.635 3.203 4.661 0.09 0.58 0.26 0.127
H 1.509 1.082 4.020 -1.16 0.34 -0.83 0.070
H 1.931 1.782 6.124 -0.27 -0.35 0.21 0.120
H 3.526 2.234 5.719 0.05 0.40 -0.70 0.105
H 3.988 0.062 6.309 -0.44 0.13 0.80 0.112
H 3.993 -0.052 4.652 0.34 0.98 -0.59 0.101
H 1.760 -2.717 6.201 -0.06 0.32 -0.25 0.078
H 3.129 -1.925 7.004 -0.10 0.06 0.32 0.082
H 3.406 -2.715 5.492 -0.03 -0.35 -0.22 0.081
C -1.947 10.855 -1.781 0.14 0.11 -0.78 -0.101
O -2.319 9.891 -2.811 -0.41 0.83 1.09 -0.185
C -3.665 10.047 -3.327 0.39 0.07 2.13 -0.237
C -4.042 8.895 -4.178 0.91 -0.93 -1.08 -0.235
N -4.197 7.621 -3.440 -1.16 0.18 0.05 -0.045
C -4.732 6.515 -4.272 0.82 0.17 0.03 -0.200
C -4.730 5.105 -3.613 -0.05 2.13 -1.58 -0.229
O -3.377 4.764 -3.462 -0.22 -0.34 1.62 -0.178
C -3.236 3.569 -2.684 0.36 -0.47 -0.88 -0.081
H -1.904 11.875 -2.164 -0.06 0.11 -0.57 0.073
H -0.941 10.657 -1.413 -0.03 -0.50 -0.34 0.079
H -2.561 10.972 -0.887 -0.67 -0.84 -0.12 0.079
H -3.789 11.050 -3.734 0.06 -0.10 -0.60 0.121
H -4.403 9.944 -2.531 0.12 0.44 0.74 0.117
H -3.253 8.767 -4.920 0.13 0.00 -0.55 0.117
H -4.934 9.208 -4.721 -0.32 -0.45 0.11 0.122
H -3.289 7.336 -3.104 0.12 0.01 0.08 0.101
H -4.081 6.432 -5.142 0.16 -0.31 -0.42 0.107
H -5.707 6.749 -4.699 -0.25 0.16 0.47 0.112
H -5.187 4.478 -4.379 -0.28 -0.47 0.11 0.113
H -5.349 5.117 -2.716 0.34 -0.23 0.36 0.123
H -2.343 3.591 -2.059 -0.04 0.36 -0.02 0.070
H -3.107 2.757 -3.399 0.08 -0.33 0.12 0.075
H -4.099 3.309 -2.070 -0.14 0.43 0.06 0.079
C -6.918 -1.585 -1.182 0.98 1.03 -1.63 -0.150
O -7.755 -2.097 -0.243 -1.17 -0.61 0.55 -0.170
C -7.274 -3.152 0.539 -0.70 -1.39 1.96 -0.216
C -8.533 -3.856 1.182 0.32 1.32 -1.31 -0.185
N -9.398 -4.367 0.090 0.22 -1.58 0.21 -0.057
C -8.961 -5.696 -0.413 -0.97 0.25 -0.90 -0.220
C -9.799 -6.129 -1.645 1.00 0.89 -0.25 -0.211
O -9.721 -5.111 -2.682 -1.28 -1.12 0.56 -0.213
C -10.694 -5.352 -3.722 1.39 0.66 0.54 -0.108
H -6.815 -2.184 -2.086 0.14 -0.63 0.04 0.088
H -5.918 -1.327 -0.835 0.19 -0.25 0.35 0.072
H -7.314 -0.652 -1.584 -0.32 0.16 0.37 0.078
H -6.581 -2.771 1.289 0.04 0.06 0.26 0.105
H -6.751 -3.995 0.088 0.31 0.41 -1.11 0.101
H -9.077 -3.075 1.713 -0.19 -0.06 0.10 0.097
H -8.295 -4.644 1.896 0.25 0.00 -0.21 0.093
H -9.276 -3.801 -0.738 -0.18 0.69 0.16 0.078
H -9.116 -6.522 0.281 0.16 0.29 0.51 0.107
H -7.915 -5.672 -0.719 0.25 -0.23 0.03 0.094
H -10.827 -6.377 -1.381 -0.25 0.43 0.09 0.111
H -9.364 -7.036 -2.065 0.15 -0.28 0.04 0.110
H -11.731 -5.331 -3.386 -0.03 0.24 0.29 0.080
H -10.532 -6.317 -4.204 0.18 -0.11 -0.14 0.077
H -10.461 -4.527 -4.395 -0.52 -0.24 -0.38 0.084
C -0.795 -0.367 -3.395 0.03 -0.04 0.64 -0.103
O -0.807 1.055 -3.557 0.41 -0.13 0.37 -0.179
C -0.144 1.730 -2.473 0.22 1.12 0.11 -0.188
C 0.400 3.114 -2.924 -1.09 -1.39 -0.91 -0.181
N 1.637 2.942 -3.671 -0.25 0.53 -0.04 -0.071
C 2.079 4.232 -4.196 1.31 -0.03 0.26 -0.177
C 3.504 4.103 -4.797 -0.90 -0.60 0.66 -0.230
O 3.491 3.468 -6.033 -0.72 0.68 -1.99 -0.197
C 2.956 4.306 -7.117 0.96 -1.48 1.12 -0.064
H -1.276 -0.878 -4.229 0.16 0.43 -0.25 0.079
H -1.315 -0.703 -2.497 -0.43 0.35 0.24 0.066
H 0.210 -0.759 -3.242 0.36 0.13 -0.43 0.090

**Solution:**
Properties=species:S:1:pos:R:3:forces:R:3:lowdin_charge:R:1 method="wB97M-V/def2-TZVPD" gap_ha="0.0458 / 0.3012" total_charge=-1 mol_weight_g_mol=1404.01 fmax_ev_per_a=3.030 multiplicity=2 e_tot_ev=-127859.339 e_homo_ev="0.4474 / -6.5042"